December 15, 2002

-- Inserted here: molecular data --
# 1
Here is a 11-piece molecular cluster, C41H55BNO32 overall in a non-equilibrium geometry from OMol25. Energies are from the ωB97M-V functional and the def2-TZVPD basis.

Each line ends with the Löwdin charge.
Cartesian coordinates (Å):
C1 -0.68846 1.10695 -0.63780  -0.062
B1 0.43838 -0.05764 -0.80002  -0.638
O1 1.81330 0.37035 -0.75101  -0.004
C2 0.02482 -1.48863 -0.97155  -0.104
C3 0.73608 -2.42867 0.06112  -0.277
C4 1.57577 -3.50622 -0.63427  -0.148
C5 0.72113 -4.64679 -1.21785  -0.450
O2 -0.48454 -4.65586 -1.06854  0.066
N1 1.44847 -5.61403 -1.96399  0.112
C6 0.85307 -6.92517 -2.03032  -0.241
C7 0.12849 -7.53256 -1.02498  -0.033
C8 -0.36432 -8.79855 -1.21316  -0.108
C9 -0.14574 -9.51787 -2.35872  -0.108
C10 0.59256 -8.91915 -3.36601  -0.088
C11 1.06507 -7.64633 -3.18743  -0.034
H1 -1.34910 1.19811 -1.50992  0.035
H2 -1.33024 0.92980 0.23549  0.035
H3 -0.20798 2.08681 -0.46612  0.032
H4 2.16117 0.54044 -1.62915  0.045
H5 -1.05137 -1.53237 -0.71122  0.028
H6 0.04605 -2.84330 0.80204  0.093
H7 1.45447 -1.79356 0.60402  0.080
H8 2.07220 -3.04032 -1.49478  0.117
H9 2.35702 -3.95488 0.00684  0.105
H10 2.34422 -5.70655 -1.49124  0.129
H11 -0.05264 -6.99416 -0.10177  0.116
H12 -0.93356 -9.26925 -0.41480  0.101
H13 -0.50140 -10.52926 -2.52353  0.096
H14 0.83394 -9.42689 -4.29443  0.090
H15 1.65465 -7.19134 -3.98362  0.092
C12 1.25513 -10.00996 -7.94477  -0.125
C13 1.33543 -8.90619 -8.97351  -0.126
O3 1.24399 -7.72877 -8.17331  0.068
C14 1.65513 -8.04469 -6.91759  -0.545
O4 1.85466 -7.25620 -6.05669  0.170
O5 1.80625 -9.39085 -6.78271  0.049
H16 1.82989 -10.89051 -8.22308  0.130
H17 0.22690 -10.30947 -7.73123  0.134
H18 2.28919 -8.89842 -9.50567  0.132
H19 0.52586 -8.94461 -9.69881  0.132
C15 -1.61448 2.98710 2.43833  -0.118
C16 -1.67057 4.41532 2.92173  -0.129
O6 -2.51332 5.04036 1.95307  0.053
C17 -3.28764 4.06961 1.39256  -0.566
O7 -4.20997 4.28293 0.67574  0.160
O8 -2.87019 2.83801 1.76843  0.062
H20 -1.52146 2.27004 3.25068  0.135
H21 -0.80899 2.81650 1.72299  0.118
H22 -2.13873 4.50464 3.90641  0.129
H23 -0.69269 4.88987 2.95157  0.119
C18 0.77664 8.77079 5.45451  -0.119
C19 -0.39012 8.06171 4.80986  -0.116
O9 0.25075 7.20422 3.86284  0.053
C20 1.52027 6.98964 4.29346  -0.562
O10 2.26477 6.19314 3.82792  0.175
O11 1.82738 7.81108 5.33307  0.041
H24 0.59677 9.01690 6.49863  0.133
H25 1.06389 9.67849 4.91968  0.134
H26 -0.95207 7.44865 5.51722  0.135
H27 -1.07471 8.74370 4.31130  0.135
C21 4.31507 2.14965 -3.54253  -0.125
C22 4.21156 3.21457 -4.60543  -0.130
O12 4.11613 2.44455 -5.80306  0.052
C23 3.63234 1.21430 -5.46905  -0.560
O13 3.28271 0.39934 -6.25472  0.172
O14 3.60765 1.05196 -4.11965  0.064
H28 3.85709 2.45073 -2.60246  0.133
H29 5.34637 1.84341 -3.35416  0.133
H30 3.31052 3.82286 -4.50216  0.133
H31 5.07925 3.87035 -4.63298  0.128
C24 -3.16224 -2.57150 -3.44299  -0.100
C25 -3.24568 -1.16883 -2.90637  -0.108
O15 -4.12325 -0.52303 -3.84878  0.068
C26 -4.87296 -1.47802 -4.42675  -0.584
O16 -5.81484 -1.26540 -5.13352  0.122
-- So much for the molecular data --

It's Not Change That People Resist

by Dr. Mike Armour

We've heard it so often that we take it for granted — people don't like to change. They resist it. They fight it. They hang on dearly to the status quo.

Or do they?

After working with change processes for decades, I've concluded it's not so much change that people resist. It's ambiguity. Most people are willing to change if they have a clear picture of why change is necessary and where it will take them. Absent that clarity, they are prone to resistance.

Making Change Palatable

For people to accept change, they need a why, what, how, how much, and where.

  • They need to know why the change is called for.
  • They need to know specifically what will be changed.
  • They need to know specifically how the change will occur.
  • They need to know specifically how much will change — the scope of change.
  • They need to know where the change will take them and what life will be like — specifically — once the change is complete.

When leaders announce change, they often pay only partial attention to this list. Commonly they offer an explanation as to why change is necessary and perhaps what will be changed. But beyond that, they provide few specifics. People are left with only an ambiguous notion of what things will look like once change has taken effect.

Without a clear picture of what to expect, they naturally begin to speculate. And their speculation is usually negative, not positive. That's because ambiguity begets uncertainty. Which in turn begets anxiety. And anxiety is about things going wrong.

It's Not About Trust

People don't like being anxious, and they soon lose goodwill toward leaders who put them in anxious situations.

Leaders tend to respond to anxiety in their organization by saying, "Trust us." But that rarely works when people are anxious about change, because trust is not the issue. Ambiguity is the problem. And ambiguity is only dispelled through information. In calming anxieties, it's impossible to overcommunicate.

Communication Breakdowns

So why do leaders tend to "undercommunicate" when implementing change? Several factors may contribute. First, leadership itself may have only an ambiguous sense of where the change will lead. This is especially true when crisis or an emergency compels change and there is not enough time to think through all the eventualities which the change will trigger. But crisis-driven change is rare. Apart from those rare moments, leaders should postpone announcements of change until they can clarify as many ambiguities as possible.

# Quantum chemistry results from another source follow
The following is a DFT calculation (ωB97M-V with the def2-TZVPD basis set) of 3 unconnected molecules or ions with the total composition C24H57FN10O6P3 in a non-equilibrium geometry.

XYZ file:
```
101
Properties=species:S:1:pos:R:3:lowdin_charge:R:1
C -5.811 4.191 5.158 -0.0579
C -4.381 3.657 4.513 -0.2385
C -3.146 3.444 5.606 -0.0477
N -4.151 3.428 3.178 0.0695
C -3.994 1.957 2.863 -0.0583
C -4.966 0.658 3.249 -0.0757
C -6.351 0.865 4.106 -0.1192
C -7.437 1.642 3.102 -0.1807
N -7.097 2.273 1.930 0.0497
N -4.347 -0.620 2.652 -0.1629
P -5.009 -2.277 2.756 0.9619
O -5.888 -2.561 4.231 -0.3034
O -3.746 -3.493 2.742 -0.2989
C -3.084 -0.097 1.936 -0.0406
C -2.173 -1.190 1.122 -0.0634
O -3.080 -1.803 0.096 -0.2264
O -3.666 -0.840 -0.566 -0.0603
N -2.830 1.391 2.023 0.0245
C -1.756 2.286 1.446 -0.0781
C -0.240 1.665 1.468 -0.2488
C 0.150 0.820 2.817 -0.0592
F 0.709 2.839 1.419 -0.1192
H -5.578 5.197 5.757 0.1051
H -6.201 3.434 5.991 0.1009
H -6.651 4.362 4.357 0.0913
H -3.222 4.386 6.336 0.1044
H -2.148 3.580 5.006 0.0860
H -3.223 2.448 6.214 0.0954
H -6.207 1.429 5.135 0.0998
H -6.896 -0.159 4.390 0.1140
H -8.586 1.616 3.383 0.1257
H -7.972 2.653 1.470 0.0605
H -5.370 -2.169 4.997 0.0750
H -3.000 -3.083 3.307 0.0748
H -1.740 -2.013 1.856 0.1407
H -1.277 -0.743 0.517 0.1323
H -4.646 -0.779 -0.344 0.1484
H -2.055 2.502 0.323 0.1600
H -1.715 3.353 1.980 0.1593
H 0.015 1.014 0.514 0.1398
H -0.025 -0.355 2.708 0.0888
H -0.318 1.270 3.792 0.0874
H 1.332 0.931 2.947 0.1130
O 0.717 -2.601 -1.035 -0.3344
P 1.146 -4.053 -1.359 0.7549
N 2.540 -3.535 -2.222 -0.3052
C 3.183 -4.221 -3.337 -0.1285
C 3.592 -2.976 -1.364 -0.1486
N -0.161 -4.227 -2.471 -0.3622
C -0.081 -3.682 -3.821 -0.1240
C -1.473 -3.869 -1.906 -0.1502
N 1.639 -5.722 -1.731 -0.2827
C 0.712 -6.712 -2.287 -0.1193
C 2.231 -6.319 -0.521 -0.1439
H 3.818 -5.050 -3.003 0.0802
H 3.819 -3.524 -3.897 0.0894
H 2.478 -4.621 -4.063 0.0560
H 4.166 -3.769 -0.874 0.0697
H 3.175 -2.336 -0.580 0.0507
H 4.284 -2.351 -1.940 0.0820
H 0.280 -2.649 -3.829 0.0865
H -1.055 -3.700 -4.326 0.0858
H 0.561 -4.297 -4.449 0.0547
H -1.644 -2.787 -1.906 0.0645
H -1.557 -4.227 -0.874 0.0683
H -2.281 -4.349 -2.472 0.0848
H -0.196 -6.812 -1.676 0.0895
H 1.183 -7.701 -2.352 0.0881
H 0.432 -6.470 -3.316 0.0785
H 1.466 -6.491 0.245 0.0808
H 2.990 -5.659 -0.093 0.0704
H 2.729 -7.268 -0.746 0.0869
O 5.545 2.645 -0.478 -0.3050
P 4.379 3.095 -1.392 0.7591
N 3.888 1.476 -1.701 -0.3005
C 3.239 0.975 -2.907 -0.1239
C 3.273 0.814 -0.544 -0.1288
N 5.486 3.583 -2.621 -0.3670
C 6.091 2.609 -3.522 -0.1285
C 6.545 4.487 -2.143 -0.1488
N 3.039 3.613 -2.442 -0.2881
C 3.217 4.585 -3.525 -0.1232
C 1.941 4.110 -1.595 -0.1477
H 2.166 1.200 -2.924 0.0776
H 3.348 -0.115 -2.972 0.0788
H 3.670 1.368 -3.825 0.0563
H 2.232 1.127 -0.416 0.0482
H 3.805 1.049 0.384 0.0756
H 3.299 -0.276 -0.650 0.0540
H 6.487 1.740 -2.986 0.0879
H 6.911 3.047 -4.104 0.0848
H 5.374 2.278 -4.272 0.0520
H 7.361 3.947 -1.650 0.0778
H 6.138 5.211 -1.428 0.0711
H 6.964 5.067 -2.975 0.0800

Second, people who rise to leadership positions frequently have a much greater tolerance for ambiguity than the people they lead. Thus, as leaders they don't recognize the urgency of offering their followers details and specifics. They assume that everyone in the organization is as adept at managing ambiguity as they are.

Third, when leaders discuss plans for change, and do so over extended periods of time, they become quite familiar with the details of the change. All too often they then project their familiarity on everyone else. Because leadership sees the "big picture" of where the change will take them, they simply assume everyone else will grasp that picture quickly. They forget how long it took them to get to that picture and become comfortable with it.

Years ago I was associated with a large non-profit that was planning a major campaign. For 24 months every board meeting was devoted to the campaign's launch. But about a year and a half into the planning process one board member, in a moment of frustration, blurted out, "Why don't we shut this campaign down. Everybody out there is sick and tired of hearing about it!!"

When he finished, someone reminded him that no one outside of the room had ever heard of the campaign. The launch was still weeks away. He was projecting his familiarity with it — and his weariness of it — on the constituency.

While extreme, his projection of familiarity is a threat to every leadership team when it spends months or even years deliberating the merits of a change. They forget that what is "old news" to them is altogether "new news" to their organization.

Combatting Your Worst Enemy

If your role calls for you to implement change, focus on the threat of ambiguity. It's your worst enemy. Think things through. Think them out clearly. And then communicate, communicate, communicate. Explain not only the need for change, but the specific benefits of change. And to the degree possible, emphasize personal benefits over organizational benefits. Show people how things will be better for them personally as a result of the change.

In fact, when announcing change, place the benefits early in your communication. Explain why the change is being made, lay out the personal benefits, and only then go into the details of implementation.

If you talk implementation before benefits, people will give you only half an ear, because they will be absorbed in speculating about "what this means for me." Take that anxiety out of the picture. Let them know specifically how they will benefit. Then go into the details of the change, anticipating a positive reception.